Program access information

PhD in Geomatics Engineering

Specific requirements and criteria for admission to the program

In general, for access, the requirements set forth in art. 6 of RD99/2011 must be met:

Article 6. Requirements for access to the doctorate.

- - -
[1]
A 9-piece molecular cluster, C50H142N21O11P7 overall. Source: OMol25; level of theory: ωB97M-V/def2-TZVPD.

Positions of all 231 atoms, in Å:
C -1.37267 -2.67923 -2.68916
N -2.42294 -3.54555 -2.25855
C -3.79069 -3.12540 -2.47509
P -2.26718 -4.66464 -1.00064
O -2.06284 -4.09686 0.32042
N -3.67981 -5.45941 -0.89923
C -4.09008 -6.35694 -1.94197
C -4.37508 -5.59849 0.32408
N -0.99321 -5.66191 -1.50970
C -0.37845 -6.59833 -0.59299
C -0.98861 -6.06764 -2.93016
H -1.33189 -2.66529 -3.77802
H -0.42564 -3.06909 -2.32193
H -1.49144 -1.63234 -2.42773
H -4.28608 -3.57996 -3.34209
H -3.74031 -2.04359 -2.71657
H -4.40555 -3.09532 -1.59132
H -3.48744 -6.20480 -2.83142
H -3.92235 -7.40257 -1.70183
H -5.06686 -6.15887 -2.32028
H -5.41237 -5.77903 0.00018
H -4.01959 -6.33197 1.06677
H -4.29103 -4.58198 0.82222
H 0.68563 -6.47029 -0.74100
H -0.57855 -6.38264 0.47013
H -0.71112 -7.56932 -0.76150
H -1.66792 -5.39032 -3.48285
H -1.31878 -7.07989 -3.09158
H 0.01718 -6.21530 -3.42685
C 4.81885 -1.81853 -7.83388
N 3.59804 -1.25644 -7.46803
C 3.15174 -0.23203 -8.38287
P 2.69139 -1.77709 -6.24469
O 1.52551 -0.85151 -6.04326
N 2.19559 -3.33952 -6.62876
C 1.23431 -4.03037 -5.84112
C 2.18260 -3.84681 -7.93160
N 3.58405 -2.05986 -4.87883
C 3.92115 -0.98296 -4.04023
C 4.20564 -3.30714 -4.44152
H 5.15945 -2.49691 -7.06625
H 5.66499 -1.14563 -7.97938
H 4.73040 -2.21011 -8.84032
H 2.27435 0.22577 -8.07830
H 3.11549 -0.80653 -9.33070
H 3.81936 0.59337 -8.49367
H 0.16905 -3.79038 -6.01501
H 1.34155 -5.08718 -6.06656
H 1.39617 -3.94123 -4.78473
H 2.59459 -4.88352 -8.01383
H 1.10996 -3.79534 -8.31565
H 2.78801 -3.30466 -8.63338
H 3.26760 -0.91827 -3.16338
H 4.97411 -1.12213 -3.81427
H 3.95167 -0.07169 -4.63495
H 4.26606 -3.90761 -5.33278
H 3.73252 -3.78202 -3.57486
H 5.29377 -3.16151 -4.18926
C -5.63072 2.80726 -5.21866
N -4.40341 2.80020 -4.51635
C -3.92308 4.15664 -4.13533
P -3.47423 1.47940 -4.23804
O -2.60648 1.79314 -3.05300
N -4.49962 0.12242 -4.05494
C -4.80128 -0.68876 -5.22021
C -5.65884 0.17070 -3.19300
N -2.58774 1.02155 -5.55385
C -1.36819 0.27764 -5.33459
C -2.94877 1.23433 -6.96907
H -5.48327 3.15786 -6.23673
H -6.36079 3.40608 -4.70611
H -6.05911 1.77939 -5.27251
H -3.51464 4.78868 -4.96313
H -3.04765 3.92094 -3.53050
H -4.70551 4.70208 -3.63903
H -3.89733 -0.98753 -5.81107
H -5.21298 -1.63398 -4.91324
H -5.46726 -0.15338 -5.86949
H -5.58071 0.76898 -2.32581
H -6.54900 0.55746 -3.74405
H -5.84047 -0.87274 -2.85141
H -0.99239 0.46925 -4.30970
H -1.43742 -0.76678 -5.56941
H -0.61068 0.64674 -5.98629
H -2.03703 1.04793 -7.53285
H -3.14489 2.27430 -7.11360
H -3.84321 0.63627 -7.27624
C -2.09938 8.03341 -0.89426
N -0.72441 7.80579 -0.51948
C -0.19859 8.86740 0.31265
P -0.41430 6.29208 0.19714
O -0.95724 6.16286 1.54252
N -0.89262 4.99839 -0.78504
C -0.35421 4.81240 -2.12869
C -2.11877 4.17648 -0.51241
N 1.25132 6.24330 0.09631
C 1.94911 6.59829 -1.09224
C 1.85659 5.17058 0.83949
H -2.57163 7.13618 -1.22444
H -2.07612 8.79857 -1.68508
H -2.60928 8.45574 -0.03389
- - -

  1. In general, in order to access an official doctoral program, it will be necessary to hold an official Spanish Bachelor’s degree or equivalent, and a Master’s degree.
  2. Those who are in any of the following situations are also eligible:
    1. Hold an official Spanish university degree, or from another country of the European Higher Education Area, which qualifies for access to a Master’s degree in accordance with the provisions of Article 16 of Royal Decree 1393/2007, of October 29, 2007, and have passed a minimum of 300 ECTS credits in the official university studies, of which at least 60 must be at the Master’s degree level.
    2. Be in possession of an official Spanish Graduate Degree, the duration of which, in accordance with the rules of community law, is at least 300 ECTS credits. Such graduates must be required to take the training complements referred to in Article 7.2 of this rule, unless the curriculum of the corresponding undergraduate degree includes research training credits, equivalent in training value to the research credits from Master’s studies.
    3. University graduates who, after obtaining a place in training in the corresponding entrance exam to specialized health training positions, have passed with a positive evaluation at least two years of training in a program to obtain the official degree in one of the specialties in Health Sciences.
    4. To be in possession of a degree obtained in accordance with foreign educational systems, without the need for its homologation, after verification by the university that it accredits a level of training equivalent to that of the official Spanish Master’s degree and that it qualifies in the country issuing the degree for access to doctoral studies. This admission will not imply, in any case, the homologation of the previous degree held by the interested party nor its recognition for purposes other than access to doctoral studies.
    5. Be in possession of another Spanish doctorate degree obtained in accordance with previous university regulations.

In the case of students with special educational needs derived from disability, they should indicate this in their application so that the University can establish the appropriate support and counseling services, and evaluate the need for possible curricular adaptations, itineraries or alternative studies.

Finally, for all students in the doctoral program and, as agreed by agreement of the Governing Council of December 12, 2013, all graduates, engineers or architects are considered to have completed 300 ECTS credits of which at least 60 correspond to the master’s degree level.

Admission Criteria

According to RD 99/2011 of January 28, 2011, in order to access an official doctoral program it will be necessary to hold an official Bachelor’s degree, or equivalent, and a Master’s degree (or, at least, to have passed 60 ECTS at the Master’s level).

The PhD program is organized, designed, coordinated and supervised by the Academic Committee (AC) responsible for its definition, updating and quality, as well as for the training and research activities. This committee is composed of 4 professors from the UPV and 4 professors from the UPM. Annex 2 of the collaboration agreement defines the composition of the committee and the functions of the coordinator. All the members of the committee have at least one six-year research period and have supervised at least one doctoral thesis.

It will be the CA responsible for evaluating students for admission taking into account that, in terms of admission:

The UPV, in article 5 of its regulations for doctoral studies establishes:

  1. The academic committees of the respective programs may establish additional requirements and criteria, which must be made explicit in the verification report, for the selection and admission of students to a specific doctoral program.
  2. These criteria may include the requirement of specific training complements, which, for the purposes of public prices and the granting of scholarships and study aids, will be considered as doctoral level training. The proposal of training complements for the doctoral student will be made from the offer of postgraduate courses of the university.
  3. The admission requirements and criteria referred to in section one, as well as the design of the training complements referred to in section two, shall be stated in the verification report of the doctoral program.

Thus, the following Evaluation Index (IV) on a scale of 0 to 100 points is proposed for the evaluation of students. Those who pass an IV of 60 points will be admitted to the doctoral program:

IV = 20 * E + 30 * T + 50 * M

Where E is the weighting factor of the academic record of the total studies (undergraduate and graduate) considering the overall average grade on a standardized scale from 0 to 1, T is the weighting factor of the undergraduate degree and M is the weighting factor of the graduate education. The values taken by the T and M factors are:

  • Undergraduate training:
    • Degree in geomatics engineering and topography: T = 1.
    • Degrees in civil engineering, computer science, telecommunications, architecture, environmental sciences, agro-food engineering, forestry engineering, aeronautics, physics, geography or mathematics: T = 0.75.
  • Master’s degree training:
    • Master’s degrees that cover 90-100% of the competencies will have M=1.
    • Those masters that cover at least 75% of the competencies will have M=0.75.
    • Those master’s degrees that cover at least 50% of the competencies will have M=0.50.


The doctoral program is aimed at graduates who meet the access conditions established in Article 6 of RD99/2011 and who have acquired the following competencies:

  • C1. Know in detail and know how to use and apply the physical and mathematical fundamentals of the different geomatics disciplines (Geodesy, Geophysics, Photogrammetry, Remote Sensing, Cartography, Topography and Geographic Information Systems).
  • C2. Knowledge of instruments, space platforms and geomatic sensors for the acquisition of georeferenced data (LiDAR, Global Positioning Satellite Systems, topographic instruments, geophysical instruments, photogrammetric instruments, sensors and platforms for obtaining images, inertial navigation systems, laser scanners, etc.), ability to use them identifying the most suitable for each type of study or application. Understand their internal operation, master their calibration and the processing and treatment of the data they provide.
  • C3. Properly handle the various mathematical tools to read, visualize and obtain useful geomatics information from observations from instrumentation, space platforms and geomatics sensors, appreciating their limitations.
  • C4. Know the basic characteristics of storage formats, structuring and representation of geomatic information, apply the necessary corrections, as well as understand the techniques of validation and evaluation of the quality of geomatic information.
  • C5. Know the metadata specification regulations, its standards and quality of spatial information and be able to design cartographic applications according to them.
  • C6. Have the ability to configure and put into production geomatics information servers and the design and development of geoportals.
  • C7. Appropriate application of the specifications and standards that allow the interoperability of data and services in the geomatics information environment.
  • C8. Ability to develop spatial analysis and applications based on the management of databases, images and other spatially referenced data.
  • C9. Know the basic aspects of territorial structure and planning, the use of geographic data and know how to analyze and model the environmental risks associated with different scenarios.
  • C10. Have the ability to develop geomatics applications using free or commercial software.
  • C11. Know the techniques of representation, visualization and 2D, 3D and 4D modeling of spatial information.
  • C12. Know and use bibliographic information sources and updated geomatics databases to extract information.

Recommended entry profile

The above competences can be acquired by taking the degree in Geomatics Engineering and Surveying and one of the following master’s degrees (or others with similar competences):

  • University Master’s Degree in Geomatics and Geoinformation of the UPV
  • Master’s Degree in Geodetic and Cartographic Engineering of the UPM
  • University Master’s Degree in Cartographic Geotechnologies in Engineering and Architecture (University of Salamanca)
  • Master’s Degree in Valuation, Cadastre and Geographic Information Systems in the Rural and Natural Environment (Miguel Hernández University of Elche).
  • Master’s Degree in Geomatics, Remote Sensing and Spatial Modeling Applied to Forest Management (University of Cordoba)
  • Master’s Degree in Geographic Information Systems (Universidad Pontificia de Salamanca)
  • Master’s Degree in Remote Sensing and Geographic Information Systems (University of Oviedo)
  • Master’s Degree in Geomatics and Navigation (Universidad Politécnica de Catalunya)
  • University Master’s Degree in Specialization in Topographic Geotechnologies in Engineering (University of Extremadura)
  • Master’s Degree in Sustainable Land and Territory Management (Universidad de Santiago de Compostela)
  • Master’s Degree in Geographic Information Technologies (Universidad de Alcalá)
  • Master’s Degree in Remote Sensing (Universitat de València)

Training complements

Only those students who meet a score of M=1 in the master’s level training will be exempt from taking complementary training.

~~~
# 1
3 unconnected molecules or ions with the total composition C4H14NO2S at a distorted geometry. Source: the OMol25 dataset; level of theory: ωB97M-V/def2-TZVPD.

- ΔE to the lowest compared entry with this formula, charge and spin: 157.0 kJ/mol
- Expectation value of S²: 0.751
- DFT total energy: -764.0561 Ha

Geometry as ORCA input:
```
! RIJCOSX wB97M-V def2-TZVPD def2/J DEFGRID3
* xyz -2 2
C 0.96 0.70 -2.71
N -0.20 0.73 -1.76
C -0.47 -0.37 -0.98
C 0.88 -0.66 0.02
S 0.50 -1.00 1.82
C -0.61 -1.60 -1.95
H 1.22 1.72 -2.98
H 1.90 0.17 -2.32
H 0.57 0.18 -3.70
H 0.03 1.64 -1.22
H -1.35 -0.33 -0.30
H 1.44 -1.54 -0.21
H 1.48 0.28 -0.24
H -1.55 -1.80 -2.48
H -0.44 -2.51 -1.34
H 0.08 -1.54 -2.74
H 0.96 1.73 2.11
H -0.16 1.93 1.27
O 0.67 2.43 1.43
H -1.25 -0.24 2.35
H -2.32 -0.01 1.21
O -2.14 0.43 2.01
*
```

# 2
4 unconnected molecules or ions with the total composition C4H14NO3 at a distorted geometry. Source: the OMol25 dataset; level of theory: ωB97M-V/def2-TZVPD.

- ΔE to the lowest compared entry with this formula, charge and spin: 327.1 kJ/mol
- DFT total energy: -440.9338 Ha

Geometry as ORCA input:
```
! RIJCOSX wB97M-V def2-TZVPD def2/J DEFGRID3
* xyz 1 1
C 0.85 1.36 1.26
C 0.01 0.89 0.10
C -0.89 1.48 -0.70
C -0.51 -1.39 -0.73
N 0.30 -0.50 -0.21
H 0.73 0.91 2.14
H 1.87 1.38 1.08
H 0.65 2.35 1.37
H -1.54 1.12 -1.40
H -1.06 2.53 -0.73
H -0.28 -2.48 -0.81
H -1.43 -1.27 -1.19
H 1.28 -0.90 0.07
H -3.15 1.81 2.74
H -4.15 0.47 2.43
O -3.23 0.94 2.15
H 0.50 0.49 -2.73
H 0.81 -0.77 -3.50
O 0.67 -0.42 -2.60
H 2.93 -2.62 1.23
H 2.75 -2.35 -0.29
O 2.72 -1.92 0.65
*
```

What did the first record say?
3 unconnected molecules or ions with the total composition C4H14NO2S at a distorted geometry. Source: the OMol25 dataset; level of theory: ωB97M-V/def2-TZVPD.

- ΔE to the lowest compared entry with this formula, charge and spin: 157.0 kJ/mol
- Expectation value of S²: 0.751
- DFT total energy: -764.0561 Ha

Geometry as ORCA input:
```
! RIJCOSX wB97M-V def2-TZVPD def2/J DEFGRID3
* xyz -2 2
C 0.96 0.70 -2.71
N -0.20 0.73 -1.76
C -0.47 -0.37 -0.98
C 0.88 -0.66 0.02
S 0.50 -1.00 1.82
C -0.61 -1.60 -1.95
H 1.22 1.72 -2.98
H 1.90 0.17 -2.32
H 0.57 0.18 -3.70
H 0.03 1.64 -1.22
H -1.35 -0.33 -0.30
H 1.44 -1.54 -0.21
H 1.48 0.28 -0.24
H -1.55 -1.80 -2.48
H -0.44 -2.51 -1.34
H 0.08 -1.54 -2.74
H 0.96 1.73 2.11
H -0.16 1.93 1.27
O 0.67 2.43 1.43
H -1.25 -0.24 2.35
H -2.32 -0.01 1.21
O -2.14 0.43 2.01
*
```

----------

C54H56N4P2PdSi2Te2 | ωB97M-V/def2-TZVPD

```
121
Properties=species:S:1:pos:R:3
Pd 0.3414 -0.0615 0.5280
N 4.9342 -0.7702 9.7083
C 4.3495 -0.6723 8.7183
C 3.6285 -0.5528 7.4925
C 4.1093 0.2608 6.4555
C 3.4076 0.3746 5.2794
C 2.2011 -0.3275 5.0514
C 1.7230 -1.1067 6.1269
C 2.4196 -1.2285 7.3111
C 1.4959 -0.2128 3.7882
C 1.4336 1.1193 3.1782
C 1.4750 2.3460 3.8385
C 1.3100 3.3485 2.8589
C 1.1655 2.6851 1.6571
N 1.2619 1.3337 1.8376
C 0.8789 -1.3194 3.2199
C 1.0846 -2.7124 3.6826
C 0.4872 -3.5377 2.8293
C -0.1526 -2.7436 1.7434
N 0.1151 -1.3559 2.1106
~~~
## Back to the article

Otherwise, the CA will approve the training complements to be taken by the student in order to cover the necessary access competences.

These training complements will be acquired through the specific training offer in geomatics engineering of the official master’s degree of the UPV (Master in Geomatics and Geoinformation). This training stage will correspond to a maximum of 18 ECTS for students who access with competences valued with a weighting factor M=0,5; and up to a maximum of 12 ECTS for students who access with competences valued with a weighting factor M=0,75.

The subjects of this master’s degree include all the competencies required for access to the doctoral program (many of them include several competencies), so it will be the task of the CA to study, based on the student’s admission profile, which subjects should be taken to cover the competencies required for the completion of the doctoral thesis.

Basic and general competencies

-- Someone pasted data records at this point --
Entry from the OMol25 dataset: the molecule C3H8N2OS2 (ωB97M-V/def2-TZVPD).

- SMILES string = CCN(S)C(=S)NO
- strongest force on any atom (eV/Å) = 1.50
- HOMO level (Ha) = -0.3138
- molar mass (g mol⁻¹) = 152.2

Bonds (Å) are listed after each position.
Cartesian coordinates (Å):
1 C -2.1247 -0.3848 -0.6928  C2 1.534, H4 1.079, H5 1.081, H6 1.071
2 C -1.2073 0.6547 -0.0360  C1 1.534, H7 1.087, H8 1.075, N12 1.456
3 C 0.8559 -0.3707 0.6419  N12 1.328, N13 1.403, S16 1.660
4 H -1.9244 -0.4347 -1.7521  C1 1.079
5 H -3.1479 -0.0676 -0.5481  C1 1.081
6 H -1.9854 -1.3559 -0.2629  C1 1.071
7 H -1.4482 1.6499 -0.4002  C2 1.087
8 H -1.4076 0.6186 1.0195  C2 1.075
9 H 0.8815 -0.3498 -2.3345  S15 1.361
10 H 2.5992 -1.2472 0.9361  N13 1.019
11 H 2.4909 0.7613 1.9082  O14 0.948
12 N 0.1831 0.3023 -0.2839  C2 1.456, C3 1.328, S15 1.733
13 N 2.2452 -0.4231 0.4533  C3 1.403, H10 1.019, O14 1.402
14 O 2.8393 0.7097 1.0282  H11 0.948, N13 1.402
15 S 0.8662 0.8864 -1.7661  H9 1.361, N12 1.733
16 S 0.2843 -0.9490 2.0893  C3 1.660

And the Mulliken charges, in e, turn out to be: C -1.01; C -0.59; C 0.17; H 0.31; H 0.36; H 0.29; H 0.33; H 0.34; H 0.15; H 0.32; H 0.36; N -0.01; N -0.28; O -0.36; S -0.09; S -0.30

=====

Entry from the OMol25 dataset: a cluster of 2 separate species, C8H6ClN2OP in total (ωB97M-V/def2-TZVPD).

- strongest force on any atom (eV/Å) = 3.22
- HOMO level (Ha) = -0.3253
- molar mass (g mol⁻¹) = 212.6

Bonds (Å) are listed after each position.
Cartesian coordinates (Å):
1 C 1.0528 -1.4067 -0.1442  C2 1.386, C3 1.347, H14 1.081
2 C 0.4427 -1.4498 1.0991  C1 1.386, C4 1.402, H15 1.074
3 C 0.6611 -0.4312 -0.9861  C1 1.347, C6 1.421, H16 1.049
4 C -0.3928 -0.4669 1.6471  C2 1.402, C7 1.427, H17 1.124
5 C -0.3595 1.8283 -1.3022  C6 1.471, N9 1.334, H18 1.192
6 C -0.1673 0.6140 -0.4948  C3 1.421, C5 1.471, C7 1.426
7 C -0.6690 0.6756 0.8386  C4 1.427, C6 1.426, C8 1.445
8 C -1.5347 1.7167 1.3428  C7 1.445, N10 1.363
9 N -1.2318 2.7476 -0.8861  C5 1.334, N10 1.329
10 N -1.7559 2.5960 0.3257  C8 1.363, N9 1.329, H19 1.018
11 O -2.1143 -2.2968 -0.9311  P12 1.458
12 P -2.5210 -0.9032 -1.0711  O11 1.458, Cl13 2.100
13 Cl -3.7801 -0.5307 0.5684  P12 2.100
14 H 1.6613 -2.1897 -0.5756  C1 1.081
15 H 0.7734 -2.3526 1.5775  C2 1.074
16 H 0.7471 -0.4535 -2.0311  C3 1.049
17 H -0.8117 -0.6362 2.6767  C4 1.124
18 H 0.3117 2.0786 -2.2555  C5 1.192
19 H -2.4710 3.2867 0.5462  N10 1.018

And the Mulliken charges, in e, turn out to be: C -0.56; C -0.19; C -0.09; C -0.73; C -0.48; C 0.53; C 0.59; C -0.69; N -0.81; N 0.40; O -0.39; P 0.61; Cl -0.23; H 0.35; H 0.37; H 0.41; H 0.35; H 0.30; H 0.27

=====

Let's list DFT total energy in order: -1100.14656; -1294.67816 Ha.
Let's list relative energy (zero: lowest compared OMol25 entry of this formula, charge and spin) in order: 2.960; 0.000 eV.
Let's list frontier orbital gap in order: 8.84; 8.02 eV.

* * * * *

# 1


  • Systematic understanding of a field of study and mastery of research skills and methods related to that field.
  • Ability to conceive, design or create, implement and adopt a substantial process of research or creation.
  • Ability to contribute to the expansion of the frontiers of knowledge through original research.
  • Ability to critically analyze, evaluate and synthesize new and complex ideas.
  • Ability to communicate with the academic and scientific community and with society in general about their fields of knowledge in the modes and languages commonly used in their international scientific community.
  • Ability to promote, in academic and professional contexts, scientific, technological, social, artistic or cultural progress within a knowledge-based society.

Personal skills and abilities

  • To develop in contexts where there is little specific information.
  • Find the key questions to be answered to solve a complex problem.
  • Design, create, develop and undertake novel and innovative projects in their field of knowledge.
  • Work both in a team and autonomously in an international or multidisciplinary context.
  • Integrate knowledge, deal with complexity and make judgments with limited information.
  • Intellectual criticism and defense of solutions.

Other competencies

  • Ability to carry out research activities with social responsibility and scientific integrity and rigor.